You might, like so many other people, base your self-worth on how you believe others perceive you. There are all kinds of measuring sticks against which you could rate yourself. For women, physical appearance is a very prominent measuring stick in our society. When you're feeling insecure, it can make you anxious and irritable, which is ironically less socially accepted than being cheerful and calm.
Measuring Your Self-Worth
Everybody seems to be measured against that, whether they be politicians, actresses, celebrities, scientists, and just average people. For men, other attributes seem to be more important, such as athletic prowess, earning power, intelligence, and aggressiveness. I realize that these might be generalized statements and therefore somewhat inaccurate. However, I have not seen anyone escape the critical lens of media, news outlets, and our cultural emphasis on these attributes. How do you measure your self-worth?

Wondering Why You're Feeling Insecure?
Even people who seem fortunate enough to fit the society's mold feel insecure sometimes. It's hard to fathom that someone who is rich, attractive, successful or otherwise seemingly perfect would feel bad, but there are numerous celebrities who are addicted to drugs, depressed, anxious, or who commit suicide. This is a good reason to base your evaluation of yourself on your own internal standards . You get to create yourself the way you want to be, not the way others want you to be. by doing so, you can escape the very critical lens through which you see yourself.
[Here the page breaks off for materials data]
=====
# KAsPbF6, relaxed, DFT PBE-GGA
data_KAsPbF6
_cell_length_a 6.4627
_cell_length_b 6.4627
_cell_length_c 4.2877
_cell_angle_alpha 90.00
_cell_angle_beta 90.00
_cell_angle_gamma 120.00
_space_group_name_H-M_alt 'P 3'
_space_group_IT_number 143
loop_
_space_group_symop_operation_xyz
'x,y,z'
'-y,x-y,z'
'-x+y,-x,z'
loop_
_atom_site_label
_atom_site_type_symbol
_atom_site_fract_x
_atom_site_fract_y
_atom_site_fract_z
K1 K 0.0000 0.0000 0.0000
As1 As 0.6667 0.3333 0.3837
Pb1 Pb 0.3333 0.6667 0.5627
F1 F 0.0530 0.6485 0.2155
F2 F 0.4134 0.1292 0.6401
# * formation energy without anion corrections: -2.37 eV/atom
# * density: 4.7 g/cm3
# * Fermi-level density of states: 0.000 states/eV/cell

~~~~~

Record 1
A relaxed Tm8Tc2Pd crystal. Source: Alexandria via LeMat-Bulk, functional PBE-GGA.

Unit cell a=5.6991 b=7.5566 c=7.5566 alpha=112.72 beta=100.49 gamma=100.49
With the nearest neighbours (Å) after each atom.
Sites, in units of the cell vectors:
1 Tm 0.3939 0.6674 0.9284  2 Tc 2.78-2.79
2 Tm 0.7945 0.6292 0.6292  2 Tc 2.94, 1 Pd 3.01
3 Tm 0.9907 0.2233 0.7860  1 Pd 2.83, 2 Tc 3.06-3.09
4 Tm 0.5866 0.3432 0.0800  2 Tc 2.78-2.79
5 Tm 0.9907 0.7860 0.2233  1 Pd 2.83, 2 Tc 3.06-3.09
6 Tm 0.3939 0.9284 0.6674  2 Tc 2.78-2.79
7 Tm 0.5866 0.0800 0.3432  2 Tc 2.78-2.79
8 Tm 0.1855 0.3716 0.3716  2 Tc 2.94, 1 Pd 3.00
9 Pd 0.1021 0.9981 0.9981  4 Tm 2.83-3.01
10 Tc 0.4877 0.3135 0.6932  8 Tm 2.78-3.09
11 Tc 0.4877 0.6932 0.3135  8 Tm 2.78-3.09

Calculated values
E: -5.813 eV per atom
crystal system: monoclinic
E_form: -204 meV per atom



Record 2
A relaxed Tm4TcPd crystal. Source: Alexandria via LeMat-Bulk, functional PBE-GGA.

Unit cell a=4.2673 b=7.4925 c=18.0189 alpha=90.00 beta=90.00 gamma=90.00
With the nearest neighbours (Å) after each atom.
Sites, in units of the cell vectors:
1 Tm 0.2500 0.0064 0.0721  1 Pd 2.87, 3 Tc 2.88-3.03
2 Tm 0.2500 0.5718 0.7187  4 Pd 2.98-3.11, 1 Tc 3.12
3 Tm 0.7500 0.4282 0.2813  4 Pd 2.98-3.11, 1 Tc 3.12
4 Tm 0.7500 0.9282 0.2187  4 Pd 2.98-3.11, 1 Tc 3.12
5 Tm 0.7500 0.4022 0.8530  2 Tc 2.86, 2 Pd 2.90-2.94
6 Tm 0.2500 0.0718 0.7813  4 Pd 2.98-3.11, 1 Tc 3.12
7 Tm 0.2500 0.5978 0.1470  2 Tc 2.86, 2 Pd 2.90-2.94
8 Tm 0.2500 0.6485 0.9559  3 Tc 2.97-3.00
9 Tm 0.2500 0.0978 0.3530  2 Tc 2.86, 2 Pd 2.90-2.94
10 Tm 0.7500 0.8515 0.4559  3 Tc 2.97-3.00
11 Tm 0.2500 0.1485 0.5441  3 Tc 2.97-3.00
12 Tm 0.7500 0.9936 0.9279  1 Pd 2.87, 3 Tc 2.88-3.03
13 Tm 0.2500 0.5064 0.4279  1 Pd 2.87, 3 Tc 2.88-3.03
14 Tm 0.7500 0.4936 0.5721  1 Pd 2.87, 3 Tc 2.88-3.03
15 Tm 0.7500 0.3515 0.0441  3 Tc 2.97-3.00
16 Tm 0.7500 0.9022 0.6470  2 Tc 2.86, 2 Pd 2.90-2.94
17 Tc 0.7500 0.7499 0.0622  9 Tm 2.86-3.12
18 Tc 0.2500 0.7501 0.5622  9 Tm 2.86-3.12
19 Tc 0.2500 0.2501 0.9378  9 Tm 2.86-3.12
20 Tc 0.7500 0.2499 0.4378  9 Tm 2.86-3.12
21 Pd 0.7500 0.7720 0.7984  7 Tm 2.87-3.11
22 Pd 0.7500 0.2720 0.7016  7 Tm 2.87-3.11
23 Pd 0.2500 0.2280 0.2016  7 Tm 2.87-3.11
24 Pd 0.2500 0.7280 0.2984  7 Tm 2.87-3.11

Calculated values
E: -6.000 eV per atom
=====
Otherwise, you might feel anxious, insecure, frustrated, discouraged, and worse. The relentless pursuit of perfection by someone else’s standards is one of the unhealthiest things that you can do to yourself. Do you feel like you can stop doing this? Do you worry that if you stopped you would be rejected at work or socially? I would argue that the opposite is true — to stay insecure is hell on earth.

A lot of advertising depends on your caring what other people think of us. You have to wear the right clothes, be on the right diets, weigh the right amount, have the right amount of muscle tone, know the right people, belong to the right groups, and so on. It’s exhausting how much you need to do to be considered acceptable by someone else.
It definitely takes a toll on your self-worth. The devilish thing is that the standards shift and change all the time. Just when you think you’re wearing the right clothes, there’s a new trend. Then you have to dump your last season’s wardrobe and by all new attire. If we were satisfied with how we looked, smelled, and with our bodies, the advertising and personal products industries would go broke. Or at least that’s what they want as to believe!
Internal vs. External Yardsticks of Self-Worth
I will set aside for a moment my nonexistent concerns about their industries doing well. Instead, I propose that we as human beings need to find a new way to evaluate ourselves. As Kristin Neff proposes in her book, Self Compassion, we are valuable just for being alive.
This is a radical concept and may take time to accept emotionally, but I think it is lifesaving and important. What if our new standards for ourselves were that we are kind, compassionate, wise, judicious, restrained, circumspect, giving, or loving?

I suggest that we all measure ourselves by what we value most and not what we think will grant us others' acceptance and approval. I think it is an experiment worth trying, don’t you? The best place to start is with deciding what’s important to you and what you want to do with this precious life that you have.
If you have difficulty finding your own internal standards against which to measure yourself, I suggest that you call me. There is no reason for your self-worth to suffer any longer. Together we can explore and develop your new roadmap for what matters most to you. How will you show your self-respect? How will you respect others? How do you want to move through this world? What do you consider successful? Is that defined by you or somebody else? We have so much to do together.
Let's get started now! Please call 661-233-6771.